Posts with the tag “pastor-jim-cecy”

Daily Devotional
July 15th, 2024
Karon and I have a 3,000-year-old bronze-age juglet from the time of King David. It was given to us by the grandson of the cobbler who first recognized the Dead Sea Scroll from a little Bedouin boy. Y...  Read More
by Pastor Jim Cecy
Daily Devotional
July 1st, 2024
Fresno Is My Present HomeIn my first eleven years in Toronto, Canada, we lived in several apartments in York Township. Over the rest of my life (with the exception of my Navy days), I lived in Califor...  Read More
by Pastor Jim Cecy
Daily Devotional
June 21st, 2024
I have been known to wake up with “a tude”—attitude! In Psalm 73, Asaph the Psalmist is complaining about unbelievers and how they seem to have everything going for them, while his life seems so full ...  Read More
by Pastor Jim Cecy
Daily Devotional
June 17th, 2024
“Man overboard! Man overboard! This is not a drill.” I was around twenty years old when I first heard these words while on the way to “Yankee Station”—the place off the coast of Vietnam where we launc...  Read More
by Pastor Jim Cecy
Daily Devotional
June 3rd, 2024
I was a typically naïve, young sailor on his first training day on a ship at sea. I was ready for the salty crew to treat us with their typical disrespect. I stood back as one of my fellow newbies was...  Read More
by Pastor Jim Cecy
Daily Devotional
May 21st, 2024
I am a military veteran. A Navy veteran. A Vietnam War veteran.On November 17, 1971, the very day I left for home after serving on active naval service, I trusted in Jesus Christ alone for my salvatio...  Read More
by Pastor Jim Cecy
Daily Devotional
May 6th, 2024
I am not a farmer nor a rancher, so anything related to these subjects flies far above my thinking. Yet, the world in which Jesus walked was agricultural and agrarian. He spoke much about seeds, trees...  Read More
by Pastor Jim Cecy
Daily Devotional
April 23rd, 2024
Psalm 24:3–4 - “Who may ascend into the hill of the Lord? And who may stand in His holy place? He who has clean hands and a pure heart, who has not lifted up his soul to falsehood and has not sworn de...  Read More
by Pastor Jim Cecy
Daily Devotional
April 8th, 2024
I am Italian through and through. As such, it has been ingrained in me to greet anyone who crosses my path—on the street, in a store, and especially in the church gathering. It has been four years sin...  Read More
by Pastor Jim Cecy
Daily Devotional
March 25th, 2024
In the early years of my Christian life, my prayers had a ring of the “too familiar,” even bordering on being monotonous. In His Sermon on the Mount Jesus warned us about using many hollow words and v...  Read More
by Pastor Jim Cecy
Daily Devotional
March 11th, 2024
I was in the Chicago area, teaching a community-wide leadership conference. During one of the sessions, a distraught woman approached me and asked, “Dr. Cecy, can you recommend a book for me? My life ...  Read More
by Pastor Jim Cecy
Daily Devotional
February 26th, 2024
God has a way of reminding me how human I am. I call them pastor-bloopers. Let me share one of many:It had been a very long day of travel home from the Philippines. I arrived at Los Angeles Airport, e...  Read More
by Pastor Jim Cecy
Daily Devotional
February 12th, 2024
My family has always known they have immediate access to me no how busy I am. When they were young my secretaries were told to inform me whenever they stepped into the office. No matter what I was doi...  Read More
by Pastor Jim Cecy
Daily Devotional
January 29th, 2024
I love the story of the man, walking by a blind man and noticing he had only a  few coins in his cup. He dropped in more coins and, without asking for permission, took the sign and re-wrote it. He ret...  Read More
by Pastor Jim Cecy
_What comes next are data records, not part of the entry_
____________
12 unconnected molecules or ions with the total composition C49H107BN5O19. Source: the OMol25 dataset; level of theory: the ωB97M-V functional and the def2-TZVPD basis.

The geometry in XYZ format:
```
181
Properties=species:S:1:pos:R:3:forces:R:3
O -1.96233 2.93580 -1.03618 0.50 -3.74 3.98
C -1.74989 2.02010 -0.18568 -0.02 2.42 -3.65
O -2.57499 1.42950 0.69052 1.24 0.68 -0.12
B -1.78481 0.43796 1.49238 -0.74 0.03 -0.78
O -0.51694 0.30450 0.73961 0.77 -0.95 0.81
C -0.33139 1.25701 -0.11996 0.27 2.29 -0.54
O 0.72006 1.62713 -0.65714 -2.34 -1.57 0.97
O -2.54981 -0.82940 1.58179 0.48 0.59 0.79
C -2.68962 -1.16855 2.85688 -0.83 -2.57 0.43
O -3.20533 -2.21803 3.25793 1.45 3.00 -1.03
C -2.00124 -0.06501 3.72289 -0.52 -0.58 1.33
O -1.50160 0.84220 2.92130 -0.05 -0.01 -1.28
O -1.93476 -0.03404 4.93256 0.02 -0.41 -1.28
C -3.72632 -7.43796 6.45815 0.57 0.86 0.89
C -2.24339 -7.11405 6.12278 -0.86 -0.28 -0.37
C -2.19242 -7.40700 4.62574 0.17 -0.81 -0.21
C -0.98007 -6.96528 3.88804 0.73 2.78 0.58
C -0.95609 -5.39481 4.11469 1.51 -0.43 -0.50
C -0.95473 -4.91444 5.59812 1.39 -0.59 -0.09
N -2.02355 -5.60574 6.32471 -1.47 -1.53 -1.48
O -2.07991 -5.29581 7.69275 0.88 -0.14 -0.47
C 0.48643 -5.05389 6.22357 0.21 -0.43 -0.27
C -1.14802 -3.41514 5.64125 -1.47 0.49 0.64
C -1.32434 -8.08893 6.90983 -0.01 1.41 -0.11
H -3.88998 -7.31911 7.52922 -0.13 0.23 0.06
H -4.02705 -8.46235 6.23842 0.28 0.03 -0.39
H -4.32776 -6.71098 5.91237 -0.27 -0.21 0.11
H -2.27849 -8.48551 4.49344 -0.54 -0.11 0.12
H -3.04315 -6.88979 4.18206 -0.15 -0.24 -0.19
H -0.94635 -7.23978 2.83371 -0.41 0.21 -0.05
H -0.01375 -7.29193 4.27229 -0.12 -0.51 0.40
H -1.61413 -4.81480 3.46765 -0.79 -0.32 0.36
H 0.01152 -5.05569 3.74479 0.34 0.12 -0.07
H 1.19473 -4.42508 5.68412 -0.20 0.25 -0.28
H 0.53303 -4.65854 7.23828 -0.22 -0.18 0.19
H 0.97539 -6.02764 6.19452 -0.39 -0.34 0.11
H -2.19557 -3.19804 5.43245 0.08 0.24 -0.43
H -1.01374 -3.02588 6.65048 0.19 -0.11 0.13
H -0.48160 -2.84031 4.99815 -0.03 -0.29 -0.28
H -0.31679 -7.90058 6.53906 0.26 -0.40 0.38
H -1.58343 -9.14417 6.82361 -0.15 0.15 -0.45
H -1.41352 -7.86564 7.97298 0.31 0.09 0.11
H -1.20268 -5.63540 7.88443 0.28 0.14 1.55
C 2.37015 -2.71641 -1.57442 -1.17 0.71 -0.10
C 1.00187 -3.42263 -1.61227 -0.71 -1.73 0.43
C 0.39519 -3.34911 -0.16881 0.95 -0.63 -0.41
C -1.02194 -3.80779 -0.04847 -0.85 0.66 -0.10
C -1.92896 -3.03798 -1.00591 -0.26 -0.43 -1.79
C -1.46773 -3.05651 -2.55109 0.47 0.11 1.28
N 0.03259 -2.75871 -2.52851 -0.41 0.47 0.38
O 0.54016 -2.80137 -3.84111 0.05 -0.88 -0.45
C -1.85466 -4.43880 -3.18012 0.20 0.72 1.20
C -2.18186 -1.86172 -3.25647 0.25 -0.20 -0.24
C 1.32133 -4.93797 -1.91908 -0.25 0.31 -0.83
H 2.81593 -2.96544 -0.61142 0.31 0.03 -0.09
H 2.11731 -1.65696 -1.61602 0.34 0.20 0.24
H 3.05065 -2.91252 -2.40302 -0.18 -0.33 0.07
H 0.93726 -4.05239 0.46337 0.65 0.10 0.00
H 0.55323 -2.36093 0.26318 -0.21 0.31 -0.17
H -1.32536 -3.67997 0.99061 -0.31 0.44 0.12
H -1.12902 -4.88899 -0.13586 0.18 -0.12 -0.64
____________
Daily Devotional
November 13th, 2023
As I reflect on these verses my mind rushes to a special memory of John Fischer, singing a song he wrote when we were both starting in the ministry. It is called the “All-Day Song.” Perhaps you rememb...  Read More
by Pastor Jim Cecy
Daily Devotional
October 30th, 2023
I was in the Chicago area, teaching a community-wide conference. During one of the sessions, a distraught woman approached me and asked, “Dr. Cecy, can you recommend a book for me? My life is falling ...  Read More
by Pastor Jim Cecy
Daily Devotional
October 16th, 2023
In my travels I have visited several ancient ruins, including the Flavian Amphitheater in Rome, more commonly known as the Colosseum. During those ancient battles, the gladiators would sometimes fight...  Read More
by Pastor Jim Cecy
Daily Devotional
October 2nd, 2023
As I reflect on these verses my mind rushes to a special memory of John Fischer, singing a song he wrote when we were both starting in the ministry. It is called the All-Day Song. Perhaps you remember...  Read More
by Pastor Jim Cecy
Daily Devotional
September 28th, 2023
I was in the Chicago area, teaching a community-wide conference. During one of the sessions, a distraught woman approached me and asked, “Dr. Cecy, can you recommend a book for me? My life is falling ...  Read More
by Pastor Jim Cecy
Daily Devotional
September 18th, 2023
┌──
Below is a cluster of 3 separate species, C27H64B2IN2O7 in total in a non-equilibrium geometry, with properties calculated with wB97M-V/def2-TZVPD.

CARTESIAN COORDINATES (ANGSTROEM)
C  7.25  -0.11  2.48
C  7.42  -1.01  1.09
C  5.98  -1.63  0.62
C  5.15  -0.67  -0.44
C  3.70  -0.22  0.28
C  2.52  0.14  -0.80
C  1.21  0.91  -0.12
C  -0.09  0.46  -1.02
B  -1.55  0.87  -0.39
C  -2.64  0.77  -1.66
O  -2.97  -0.61  -2.04
C  -2.25  -1.06  -3.23
C  -2.07  -0.09  0.84
C  -1.66  -1.68  0.70
C  -2.87  -2.71  1.22
I  0.03  -2.04  2.10
B  -1.54  2.46  0.06
O  -1.95  3.48  -0.97
O  -1.16  3.01  1.37
C  -2.27  3.00  2.34
C  -3.75  3.29  1.72
H  7.12  1.05  2.25
H  8.20  -0.23  3.19
H  6.32  -0.47  3.11
H  8.15  -1.91  1.39
H  7.98  -0.39  0.27
H  6.11  -2.71  0.16
H  5.33  -1.78  1.61
H  4.96  -1.26  -1.45
H  5.80  0.27  -0.72
H  3.34  -1.04  1.04
H  3.95  0.77  0.86
H  2.22  -0.82  -1.42
H  2.99  0.89  -1.59
H  1.44  2.07  -0.21
H  1.15  0.60  1.01
H  0.00  1.05  -2.05
H  0.04  -0.67  -1.29
H  -3.64  1.33  -1.34
H  -2.19  1.40  -2.54
H  -1.35  -1.76  -2.94
H  -1.93  -0.22  -3.97
H  -3.01  -1.75  -3.84
H  -3.26  -0.05  0.84
H  -1.71  0.27  1.90
H  -1.42  -2.03  -0.40
H  -3.52  -2.26  2.09
H  -2.29  -3.66  1.64
H  -3.51  -3.11  0.31
H  -1.15  3.48  -1.61
H  -2.33  2.03  3.01
H  -2.05  3.89  3.10
H  -3.81  4.21  0.98
H  -4.29  2.32  1.27
H  -4.44  3.60  2.64
C  9.01  4.88  -1.45
O  8.31  5.93  -0.79
C  7.29  6.55  -1.59
C  5.88  6.03  -1.22
N  5.67  4.65  -1.66
C  4.58  3.94  -0.98
C  4.48  3.96  0.56
O  5.45  3.17  1.25
C  6.77  3.70  1.23
H  9.94  4.70  -0.90
H  8.44  3.95  -1.43
H  9.26  5.14  -2.48
H  7.49  6.46  -2.66
H  7.32  7.62  -1.34
H  5.13  6.67  -1.69
H  5.79  6.13  -0.14
H  6.52  4.11  -1.54
H  4.66  2.89  -1.30
H  3.63  4.32  -1.40
H  3.51  3.51  0.82
H  4.44  4.97  0.97
H  6.78  4.79  1.38
H  7.24  3.43  0.29
H  7.34  3.24  2.03
C  -6.50  -3.61  -1.55
O  -5.98  -4.56  -0.63
C  -6.09  -4.17  0.75
C  -7.28  -4.89  1.44
N  -8.57  -4.38  0.98
C  -9.72  -5.27  1.22
C  -9.64  -6.77  0.83
O  -9.69  -7.04  -0.57
C  -8.52  -6.69  -1.28
H  -6.09  -3.84  -2.54
H  -7.58  -3.70  -1.63
H  -6.23  -2.59  -1.28
H  -6.14  -3.09  0.87
H  -5.18  -4.52  1.24
H  -7.21  -4.74  2.52
H  -7.16  -5.96  1.24
H  -8.54  -4.18  -0.02
H  -10.57  -4.83  0.68
H  -9.97  -5.20  2.29
H  -10.53  -7.25  1.25
H  -8.79  -7.28  1.30
H  -7.61  -6.95  -0.74
H  -8.55  -5.63  -1.52
H  -8.52  -7.23  -2.23

Calculated values
Total charge ... -1
HOMO ... -4.58 eV
Energy above the lowest of the compared OMol25 structures with the same formula, charge and spin ... 7.481 eV
E_LUMO ... 0.082 Ha
F_max ... 3.1 eV/Å


Below is a cluster of 5 separate species, C27H64F3N4O5S in total in a non-equilibrium geometry, with properties calculated with wB97M-V/def2-TZVPD.

CARTESIAN COORDINATES (ANGSTROEM)
C  6.36  -7.42  -5.15
F  6.44  -8.73  -4.97
F  6.07  -7.18  -6.42
F  5.41  -6.92  -4.36
S  8.13  -6.72  -4.85
O  8.97  -7.69  -5.54
O  8.12  -5.44  -5.57
O  8.28  -6.63  -3.39
C  8.36  -6.89  1.91
└──
End of the molecular data:
 I once read, “He who smiles rather than rages is always stronger.” This became dramatically clear when, as a newlywed college student, I was working in the photo department of a popular drugstore.An ...  Read More
by Pastor Jim Cecy
Daily Devotional
September 4th, 2023
We homeschooled two of our children through high school. I took the time to teach one of my daughters Greek, the language of the New Testament. She did very well her first semester, easily earning an ...  Read More
by Pastor Jim Cecy
Daily Devotional
August 21st, 2023
I was blessed to have an apartment-dwelling mother who knew nothing about growing fruit and everything about enjoying it. So, it was not unusual for me, a week after her death, to plant an apple tree ...  Read More
by Pastor Jim Cecy
Daily Devotional
August 7th, 2023
While serving in the U.S. Navy, I embarked on a nine-month WestPac (Western Pacific) Cruise, ultimately to Vietnam. There was one grueling stretch of time during which we did not see land for fifty-se...  Read More
by Pastor Jim Cecy
Daily Devotional
July 24th, 2023
I have a large aquarium next to where I sit every morning reading my bible and praying. Most of my grandkids have picked their favorite of the two dozen fish. Every morning, those little creatures com...  Read More
by Pastor Jim Cecy
Daily Devotional
July 10th, 2023
I started out not being prepared—for anything, especially emergencies—that is, until I got married and had a family. My family and I going through some tough times certainly got my attention. For exam...  Read More
by Pastor Jim Cecy
Daily Devotional
June 30th, 2023
As our girls were growing up, I enjoyed pretending to be the “king of my castle.” I would sit on my throne (i.e., my easy chair) and bark orders to my “subjects.” One day I shouted to my pre-teen daug...  Read More
by Pastor Jim Cecy
Daily Devotional
June 26th, 2023
I was raised in a California coastal community called Santa Cruz, a town that was nicknamed Surf City U.S.A. (along with Huntington Beach). I spent many of my days, body surfing at the river mouth of ...  Read More
by Pastor Jim Cecy
Daily Devotional
June 12th, 2023
 Like many of my youthful peers, I had my share of visions of grandeur. I grew up wanting to become a famous this or a world-renowned that. Later in life, I met some people “at the top of the heap”—th...  Read More
by Pastor Jim Cecy
Daily Devotional
June 8th, 2023
June 8, 2023 is the 9th anniversary of our merge with Palm Avenue Community Church. Here is the story:Many years ago I became aware of a small local church in our area that was standing alone against ...  Read More
by Pastor Jim Cecy
Daily Devotional
June 1st, 2023
It is not uncommon for loved ones to save boxes of some of the most seemingly worthless things:A tattered baby blanket with the smooth edges worn off.Hand-crafted greeting cards with silhouettes of to...  Read More
by Pastor Jim Cecy
Daily Devotional
May 26th, 2023
Even as a child I struggled with the question, “Why am I here?” I remember one “dark night of the soul” at the age of nine when I was afraid I was going to die. I wept before God: “Lord, what do you w...  Read More
by Pastor Jim Cecy
Daily Devotional
May 15th, 2023
There was a time in my life when I thought I was surrounded by death: My father died young, one of many in his family.I was in a war zone at the age of twenty.Four of our babies died in miscarriages.A...  Read More
by Pastor Jim Cecy
Daily Devotional
May 1st, 2023
One rainy night, when I was a teenager, I was alone on the night shift at a fast-food restaurant. A customer rushed in and asked to use our restroom. I politely informed him we were not permitted to a...  Read More
by Pastor Jim Cecy
Daily Devotional
April 17th, 2023
What do you call three brothers, three sisters, one half-sister and one half-brother—all with the same father? A brood? Blood relatives? The Cecy family! Here are some of my personal observations of g...  Read More
by Pastor Jim Cecy
Daily Devotional
April 11th, 2023
As a young believer I was intrigued with a plaque on a pastor’s wall. It was a rubber kitchen glove. The words below read: “Beware of phony Christians.” Soon after I hear this same pastor say, “Don’t ...  Read More
by Pastor Jim Cecy
Daily Devotional
April 3rd, 2023
This is my 72nd Easter celebration—my 32nd in Fresno. For many years we held sunrise services at Woodward Park in North Fresno. On some of those early morning services it was so cold that I could bare...  Read More
by Pastor Jim Cecy
Daily Devotional
March 20th, 2023
I am one of those people who, on most days, wakes up early without an alarm clock. But, then again, there are those days when I grumble, “Good Lord, it’s morning” rather than “Good morning, Lord.” I l...  Read More
by Pastor Jim Cecy
Daily Devotional
March 6th, 2023
My friend called to announce he was going to take me fishing. I reminded him that I am, in my opinion, the worst fisherman I know. He responded, “I know that, too but I’ve got you covered.” We drove t...  Read More
by Pastor Jim Cecy
Daily Devotional
February 20th, 2023
The high fever and convulsion came on quickly. In the emergency room I was admitted quickly and soon was in a room being cared for by a host of nurses and technicians. I was to learn that I had become...  Read More
by Pastor Jim Cecy
Daily Devotional
February 6th, 2023
As you walk into my office at the church, you are immediately faced with what is obviously a former sailor’s décor. A ship’s bell hangs by the door. Models of masted ships sit on shelves around the ro...  Read More
by Pastor Jim Cecy